┌──
CeMgAu | r2SCAN | optimized geometry

E_form: -0.66 eV per atom
V: 220.4 Å³/cell
symmetry: No. 189
energy: -29.19 eV per atom

The structure in extended XYZ format:
```
9
Lattice="7.8696 0.0000 0.0000 -3.9348 6.8152 0.0000 0.0000 0.0000 4.1100" Properties=species:S:1:pos:R:3 pbc="T T T"
Ce -2.2971 3.9787 0.0000
Ce 1.6377 2.8365 0.0000
Ce 4.5942 0.0000 0.0000
Mg -0.9375 1.6238 2.0550
Mg 1.8750 0.0000 2.0550
Mg 2.9973 5.1915 2.0550
Au 0.0000 0.0000 0.0000
Au 0.0000 4.5435 2.0550
Au 3.9348 2.2717 2.0550
```


No. 1
The following is a PBE calculation of Os2C6SeO6 after structural relaxation, from the Materials Project database.

Summary:
Magnetic moment = 0.001 μB per cell
Calculated total energy = -8.0460 eV/atom

abc: 9.6450 14.1897 16.6015
angles: 81.69 73.98 89.65
With the nearest neighbours (Å) after each atom.
Space group P-1 (No. 2)
Unique sites:
Os  0.0044  0.0754  0.2350 x2  3 C 1.90-1.92
Os  0.0430  0.1337  0.7000 x2  3 C 1.89-1.90
Os  0.2174  0.9237  0.1533 x2  3 C 1.89-1.91
Os  0.2411  0.9200  0.3320 x2  3 C 1.90-1.91
Os  0.3441  0.4907  0.8063 x2  3 C 1.88-1.90
Os  0.3531  0.4397  0.2933 x2  3 C 1.89-1.90
Os  0.3957  0.6459  0.6502 x2  3 C 1.90-1.92
Os  0.4664  0.6583  0.8560 x2  3 C 1.89-1.91
C  0.0012  0.7373  0.3261 x2  1 O 1.16
C  0.0075  0.1930  0.2761 x2  1 O 1.16
C  0.0246  0.1317  0.1201 x2  1 O 1.16
C  0.1080  0.1588  0.7930 x2  1 O 1.16
C  0.1707  0.4512  0.8924 x2  1 O 1.16
C  0.1767  0.7953  0.1427 x2  1 O 1.16
C  0.1801  0.9691  0.0486 x2  1 O 1.16
C  0.1891  0.8115  0.4182 x2  1 O 1.16
C  0.1990  0.9399  0.7474 x2  1 O 1.16
C  0.2078  0.3987  0.3949 x2  1 O 1.16
C  0.2082  0.4701  0.2373 x2  1 O 1.16
C  0.2301  0.1504  0.6230 x2  1 O 1.16
C  0.2412  0.5783  0.6290 x2  1 O 1.16
C  0.3001  0.4065  0.7382 x2  1 O 1.16
C  0.3289  0.9896  0.3959 x2  1 O 1.16
C  0.3516  0.7681  0.6023 x2  1 O 1.16
C  0.3533  0.3358  0.1176 x2  1 O 1.16
C  0.3611  0.5656  0.3185 x2  1 O 1.16
C  0.3757  0.5795  0.9607 x2  1 O 1.16
C  0.4067  0.7743  0.8962 x2  1 O 1.16
C  0.4148  0.9143  0.0977 x2  1 O 1.16
C  0.4156  0.8621  0.2798 x2  1 O 1.16
C  0.4569  0.3988  0.8517 x2  1 O 1.17
C  0.4761  0.3835  0.4526 x2  1 O 1.16
Se  0.0082  0.0071  0.6118 x2  3 Os 2.55-2.61
Se  0.2365  0.6552  0.8029 x2  3 Os 2.55-2.61
Se  0.2817  0.0673  0.2129 x2  3 Os 2.54-2.61
Se  0.4136  0.2642  0.2994 x2  3 Os 2.55-2.63
O  0.0118  0.2633  0.3037 x2  1 C 1.16
O  0.0276  0.6577  0.3406 x2  1 C 1.16
O  0.0320  0.1724  0.0530 x2  1 C 1.16
O  0.0652  0.4226  0.9434 x2  1 C 1.16
O  0.1161  0.4901  0.2060 x2  1 C 1.16
O  0.1187  0.3743  0.4575 x2  1 C 1.16
O  0.1470  0.5408  0.6140 x2  1 C 1.16
O  0.1556  0.1750  0.8469 x2  1 C 1.16
O  0.1566  0.9941  0.9841 x2  1 C 1.16
O  0.1621  0.7173  0.1317 x2  1 C 1.16
O  0.1618  0.7468  0.4721 x2  1 C 1.16
O  0.2466  0.3251  0.0999 x2  1 C 1.16
O  0.2753  0.3512  0.6983 x2  1 C 1.16
O  0.3221  0.5363  0.0271 x2  1 C 1.16
O  0.3230  0.9450  0.7384 x2  1 C 1.16
O  0.3294  0.8441  0.5731 x2  1 C 1.16
O  0.3456  0.1617  0.5766 x2  1 C 1.16
O  0.3584  0.6392  0.3419 x2  1 C 1.16
O  0.3662  0.8442  0.9221 x2  1 C 1.16
O  0.3843  0.0312  0.4343 x2  1 C 1.16
O  0.4045  0.4012  0.5171 x2  1 C 1.16
O  0.4649  0.0926  0.9387 x2  1 C 1.16
O  0.4743  0.1721  0.7464 x2  1 C 1.16
O  0.4845  0.6600  0.1146 x2  1 C 1.17

No. 2
The following is a PBE calculation of Na3La3NbP5SO24 after structural relaxation, from the Materials Project database.

Summary:
Magnetic moment = 0.000 μB per cell
Calculated total energy = -7.3423 eV/atom

abc: 9.3245 9.3619 24.3885
angles: 89.80 89.95 60.25
With the nearest neighbours (Å) after each atom.
Space group P1 (No. 1)
Unique sites:
Na  0.0000  0.0000  0.0000 x1  3 O 2.55-2.66
Na  0.0008  0.9936  0.4977 x1  4 O 2.51-2.74
Na  0.0278  0.3215  0.5821 x1  2 O 2.32-2.54
Na  0.3232  0.3541  0.1639 x1  6 O 2.65-2.86
Na  0.3338  0.3420  0.6684 x1  4 O 2.61-2.91
Na  0.6466  0.0102  0.2471 x1  2 O 2.31-2.55
Na  0.6604  0.6718  0.3335 x1  6 O 2.79-2.99
Na  0.6643  0.6788  0.8305 x1  5 O 2.65-2.96
└──

Your job: start at the top of the data above and transcribe each line, ending with the one that has "0.0008".

CeMgAu | r2SCAN | optimized geometry

E_form: -0.66 eV per atom
V: 220.4 Å³/cell
symmetry: No. 189
energy: -29.19 eV per atom

The structure in extended XYZ format:
```
9
Lattice="7.8696 0.0000 0.0000 -3.9348 6.8152 0.0000 0.0000 0.0000 4.1100" Properties=species:S:1:pos:R:3 pbc="T T T"
Ce -2.2971 3.9787 0.0000
Ce 1.6377 2.8365 0.0000
Ce 4.5942 0.0000 0.0000
Mg -0.9375 1.6238 2.0550
Mg 1.8750 0.0000 2.0550
Mg 2.9973 5.1915 2.0550
Au 0.0000 0.0000 0.0000
Au 0.0000 4.5435 2.0550
Au 3.9348 2.2717 2.0550
```


No. 1
The following is a PBE calculation of Os2C6SeO6 after structural relaxation, from the Materials Project database.

Summary:
Magnetic moment = 0.001 μB per cell
Calculated total energy = -8.0460 eV/atom

abc: 9.6450 14.1897 16.6015
angles: 81.69 73.98 89.65
With the nearest neighbours (Å) after each atom.
Space group P-1 (No. 2)
Unique sites:
Os  0.0044  0.0754  0.2350 x2  3 C 1.90-1.92
Os  0.0430  0.1337  0.7000 x2  3 C 1.89-1.90
Os  0.2174  0.9237  0.1533 x2  3 C 1.89-1.91
Os  0.2411  0.9200  0.3320 x2  3 C 1.90-1.91
Os  0.3441  0.4907  0.8063 x2  3 C 1.88-1.90
Os  0.3531  0.4397  0.2933 x2  3 C 1.89-1.90
Os  0.3957  0.6459  0.6502 x2  3 C 1.90-1.92
Os  0.4664  0.6583  0.8560 x2  3 C 1.89-1.91
C  0.0012  0.7373  0.3261 x2  1 O 1.16
C  0.0075  0.1930  0.2761 x2  1 O 1.16
C  0.0246  0.1317  0.1201 x2  1 O 1.16
C  0.1080  0.1588  0.7930 x2  1 O 1.16
C  0.1707  0.4512  0.8924 x2  1 O 1.16
C  0.1767  0.7953  0.1427 x2  1 O 1.16
C  0.1801  0.9691  0.0486 x2  1 O 1.16
C  0.1891  0.8115  0.4182 x2  1 O 1.16
C  0.1990  0.9399  0.7474 x2  1 O 1.16
C  0.2078  0.3987  0.3949 x2  1 O 1.16
C  0.2082  0.4701  0.2373 x2  1 O 1.16
C  0.2301  0.1504  0.6230 x2  1 O 1.16
C  0.2412  0.5783  0.6290 x2  1 O 1.16
C  0.3001  0.4065  0.7382 x2  1 O 1.16
C  0.3289  0.9896  0.3959 x2  1 O 1.16
C  0.3516  0.7681  0.6023 x2  1 O 1.16
C  0.3533  0.3358  0.1176 x2  1 O 1.16
C  0.3611  0.5656  0.3185 x2  1 O 1.16
C  0.3757  0.5795  0.9607 x2  1 O 1.16
C  0.4067  0.7743  0.8962 x2  1 O 1.16
C  0.4148  0.9143  0.0977 x2  1 O 1.16
C  0.4156  0.8621  0.2798 x2  1 O 1.16
C  0.4569  0.3988  0.8517 x2  1 O 1.17
C  0.4761  0.3835  0.4526 x2  1 O 1.16
Se  0.0082  0.0071  0.6118 x2  3 Os 2.55-2.61
Se  0.2365  0.6552  0.8029 x2  3 Os 2.55-2.61
Se  0.2817  0.0673  0.2129 x2  3 Os 2.54-2.61
Se  0.4136  0.2642  0.2994 x2  3 Os 2.55-2.63
O  0.0118  0.2633  0.3037 x2  1 C 1.16
O  0.0276  0.6577  0.3406 x2  1 C 1.16
O  0.0320  0.1724  0.0530 x2  1 C 1.16
O  0.0652  0.4226  0.9434 x2  1 C 1.16
O  0.1161  0.4901  0.2060 x2  1 C 1.16
O  0.1187  0.3743  0.4575 x2  1 C 1.16
O  0.1470  0.5408  0.6140 x2  1 C 1.16
O  0.1556  0.1750  0.8469 x2  1 C 1.16
O  0.1566  0.9941  0.9841 x2  1 C 1.16
O  0.1621  0.7173  0.1317 x2  1 C 1.16
O  0.1618  0.7468  0.4721 x2  1 C 1.16
O  0.2466  0.3251  0.0999 x2  1 C 1.16
O  0.2753  0.3512  0.6983 x2  1 C 1.16
O  0.3221  0.5363  0.0271 x2  1 C 1.16
O  0.3230  0.9450  0.7384 x2  1 C 1.16
O  0.3294  0.8441  0.5731 x2  1 C 1.16
O  0.3456  0.1617  0.5766 x2  1 C 1.16
O  0.3584  0.6392  0.3419 x2  1 C 1.16
O  0.3662  0.8442  0.9221 x2  1 C 1.16
O  0.3843  0.0312  0.4343 x2  1 C 1.16
O  0.4045  0.4012  0.5171 x2  1 C 1.16
O  0.4649  0.0926  0.9387 x2  1 C 1.16
O  0.4743  0.1721  0.7464 x2  1 C 1.16
O  0.4845  0.6600  0.1146 x2  1 C 1.17

No. 2
The following is a PBE calculation of Na3La3NbP5SO24 after structural relaxation, from the Materials Project database.

Summary:
Magnetic moment = 0.000 μB per cell
Calculated total energy = -7.3423 eV/atom

abc: 9.3245 9.3619 24.3885
angles: 89.80 89.95 60.25
With the nearest neighbours (Å) after each atom.
Space group P1 (No. 1)
Unique sites:
Na  0.0000  0.0000  0.0000 x1  3 O 2.55-2.66
Na  0.0008  0.9936  0.4977 x1  4 O 2.51-2.74